Endorsements on Parade: Our One Hundredth, Our Choice…
Attached: data records:
+++
1.
K2P2H2O7: optimized geometry, PBE.

Properties
Calculated total energy in eV per cell: -320.959
Volume in Å³ per cell: 775.3

Cell: 8.3047 8.3490 11.3141 Å, 82.95 84.82 88.76°
Space group P-1 (No. 2)
Asymmetric unit:
K  0.1228  0.2009  0.0738 [2 per cell]
K  0.2123  0.3713  0.4219 [2 per cell]
K  0.2585  0.7948  0.5505 [2 per cell]
K  0.3168  0.7215  0.0481 [2 per cell]
P  0.0141  0.7870  0.2846 [2 per cell]
P  0.1268  0.5027  0.7981 [2 per cell]
P  0.2884  0.0475  0.7862 [2 per cell]
P  0.4416  0.3628  0.6986 [2 per cell]
H  0.2329  0.0069  0.3196 [2 per cell]
H  0.4025  0.0515  0.3522 [2 per cell]
H  0.4366  0.3823  0.1664 [2 per cell]
H  0.4868  0.2020  0.1822 [2 per cell]
O  0.0272  0.6365  0.7392 [2 per cell]
O  0.0277  0.3315  0.8131 [2 per cell]
O  0.0435  0.6933  0.4024 [2 per cell]
O  0.1387  0.9012  0.2193 [2 per cell]
O  0.1572  0.1152  0.6929 [2 per cell]
O  0.1855  0.5133  0.9178 [2 per cell]
O  0.2091  0.9912  0.9078 [2 per cell]
O  0.2745  0.4717  0.6968 [2 per cell]
O  0.2867  0.0572  0.3804 [2 per cell]
O  0.3891  0.2100  0.7988 [2 per cell]
O  0.3965  0.9328  0.7219 [2 per cell]
O  0.4306  0.2823  0.1281 [2 per cell]
O  0.4317  0.5494  0.2481 [2 per cell]
O  0.4740  0.3140  0.5761 [2 per cell]

***

2.
Tb3Ho3Er8: optimized geometry, PBE.

Properties
Calculated total energy in eV per cell: -124.992
Volume in Å³ per cell: 875.2

Cell: 5.5552 10.6785 14.7535 Å, 90.00 90.00 90.00°
Space group Immm (No. 71)
Asymmetric unit:
Tb  0.0000  0.0000  0.0000 [2 per cell]
Tb  0.0000  0.5000  0.3185 [4 per cell]
Ho  0.0000  0.0000  0.5000 [2 per cell]
Ho  0.0000  0.2961  0.5000 [4 per cell]
Er  0.0000  0.1590  0.2781 [8 per cell]
Er  0.0000  0.3422  0.1037 [8 per cell]

***

3.
PmMg2InPd4: optimized geometry, PBE.

Properties
Calculated total energy in eV per cell: -110.551
Volume in Å³ per cell: 446.8

Cell: 4.7093 4.7093 23.2647 Å, 90.00 90.00 120.00°
Space group R-3m (No. 166, hexagonal axes)
Asymmetric unit:
Pm  0.0000  0.0000  0.0000 [3 per cell]
Mg  0.0000  0.0000  0.2455 [6 per cell]
In  0.0000  0.0000  0.5000 [3 per cell]
Pd  0.0000  0.0000  0.1267 [6 per cell]
Pd  0.0000  0.0000  0.3833 [6 per cell]

***

4.
ReSeS2Cl: optimized geometry, PBE.

Properties
Energy relative to the elements, uncorrected in eV/atom: 0.435
Volume in Å³ per cell: 101.2

Cell: 4.6090 4.6090 4.7631 Å, 90.00 90.00 90.00°
Space group P4/mmm (No. 123)
Asymmetric unit:
Re  0.0000  0.0000  0.0000 [1 per cell]
Se  0.5000  0.5000  0.5000 [1 per cell]
S  0.0000  0.5000  0.0000 [2 per cell]
Cl  0.0000  0.0000  0.5000 [1 per cell]

***

5.
NbMoRh: optimized geometry, PBE.

Properties
Calculated total energy in eV per cell: -57.492
Volume in Å³ per cell: 97.1

Cell: 2.7821 5.1326 7.2618 Å, 72.62 85.52 79.09°
Space group P-1 (No. 2)
Asymmetric unit:
Nb  0.0427  0.1573  0.1445 [2 per cell]
Mo  0.2436  0.2334  0.5008 [2 per cell]
Rh  0.4834  0.3710  0.7996 [2 per cell]

***

6.
Li3HgSb2: optimized geometry, PBE.

Properties
+++
The data records stop here:

Elizabeth Warren (wikipedia)
If you were to ask politicos eighteen months ago whether they imagined Scott Brown falling in the polls, singeing his fingers as he erratically attempts to burn his opponent, laughter would probably have been the response. And yet, here we are, with the US Senate in the balance, playing host to the hottest election contest in the nation between a seasoned pol and fierce newcomer.
Elizabeth Warren, a law professor and consumer advocate, had been well-known as a finance and bankruptcy expert but certainly not as a politician. She did work in Washington and launch a campaign there to create a consumer agency as part of a bill for which Brown claims credit. In some ways, it was fate they should become contestants in a race that could hold so much in the balance independent of the Presidential Election. Her election, which we firmly support, would break barriers for women here in Massachusetts and challenge the status quo in Washington.
We did not endorse Senator Brown in 2010. We supported Martha Coakley in part because we believed in her, but also because of the stakes. She lost that race to Brown for a number of reasons we outlined then. However, in stark contrast to others who see their candidates lose, we accepted those results. We hoped that Brown could muster the humanity and character to take on the legacy of Massachusetts senators like Edward Kennedy and his brother, but also great Massachusetts Republican senators like Edward Brooke, Henry Cabot Lodge and Charles Sumner.
He failed. Or he never tried.
Brown’s votes have been a smattering of political opportunism and enriching the powerful. What good votes he has came at the eleventh hour or came at a terrible price as with Wall Street reform. Even then he sought to gut that law after the fact. That bipartisan mantle he claims only clearly surfaced after Warren was considering a run. Conviction has been a convenience, not something backed by courage, for Brown.
/*
The following is a DFT calculation (PBE) of an optimized crystal structure of LuBeTcW.

Summary:
The value obtained for the total energy is -7.23 eV per atom. As for the total moment: 0.79 μB/cell.

```
data_LuBeTcW
_chemical_formula_sum 'Lu1 Be1 Tc1 W1'
_space_group_name_H-M_alt 'P 1'
_space_group_IT_number 1
_space_group_name_Hall 'P 1'
_cell_length_a 4.456
_cell_length_b 4.456
_cell_length_c 4.456
_cell_angle_alpha 60.00
_cell_angle_beta 60.00
_cell_angle_gamma 60.00
loop_
_atom_site_label
_atom_site_type_symbol
_atom_site_fract_x
_atom_site_fract_y
_atom_site_fract_z
W1 W 0.000 0.000 0.000
Be1 Be 0.750 0.750 0.750
Tc1 Tc 0.500 0.500 0.500
Lu1 Lu 0.250 0.250 0.250
```

=====

No. 1
# TePt PBE relaxed
# Energy relative to the elements, uncorrected = -0.24 eV per atom
# V = 289.25 Å³/cell
data_TePt
_space_group_name_H-M_alt 'I m m 2'
_space_group_IT_number 44
_space_group_name_Hall 'I 2 -2'
_cell_length_a 3.994
_cell_length_b 11.654
_cell_length_c 6.215
_cell_angle_alpha 90.00
_cell_angle_beta 90.00
_cell_angle_gamma 90.00
loop_
_atom_site_label
_atom_site_fract_x
_atom_site_fract_y
_atom_site_fract_z
Te1 0.000 0.000 0.000
Te2 0.000 0.316 0.956
Pt1 0.000 0.332 0.529
Pt2 0.000 0.500 0.196

---

No. 2
# CsHgTe2Pb PBE relaxed
# Energy relative to the elements, uncorrected = -0.40 eV per atom
# V = 425.28 Å³/cell
data_CsHgTe2Pb
_space_group_name_H-M_alt 'P 1 2/c 1'
_space_group_IT_number 13
_space_group_name_Hall '-P 2yc'
_cell_length_a 8.391
_cell_length_b 7.626
_cell_length_c 7.278
_cell_angle_alpha 90.00
_cell_angle_beta 114.07
_cell_angle_gamma 90.00
loop_
_atom_site_label
_atom_site_fract_x
_atom_site_fract_y
_atom_site_fract_z
Cs1 0.000 0.203 0.250
Hg1 0.500 0.000 0.000
Te1 0.211 0.317 0.854
Pb1 0.500 0.491 0.250

---

No. 3
# SrLuBi2 PBE relaxed
# Formation enthalpy at 0 K = -0.6135 eV per atom
# V = 126.63 Å³/cell
# Relative energy among the computed polymorphs = 0.0955 eV per atom
data_SrLuBi2
_space_group_name_H-M_alt 'P 4/m m m'
_space_group_IT_number 123
_space_group_name_Hall '-P 4 2'
_cell_length_a 3.833
_cell_length_b 3.833
_cell_length_c 8.619
_cell_angle_alpha 90.00
_cell_angle_beta 90.00
_cell_angle_gamma 90.00
loop_
_atom_site_label
_atom_site_fract_x
_atom_site_fract_y
_atom_site_fract_z
Sr1 0.000 0.000 0.000
Lu1 0.000 0.000 0.500
Bi1 0.500 0.500 0.275

---

No. 4
# Mn2PPt PBE relaxed
# Formation enthalpy at 0 K = 0.5343 eV per atom
# V = 281.17 Å³/cell
data_Mn2PPt
_space_group_name_H-M_alt 'I -4 2 d'
_space_group_IT_number 122
_space_group_name_Hall 'I -4 2bw'
_cell_length_a 5.235
_cell_length_b 5.235
_cell_length_c 10.261
_cell_angle_alpha 90.00
_cell_angle_beta 90.00
_cell_angle_gamma 90.00
loop_
_atom_site_label
_atom_site_fract_x
_atom_site_fract_y
_atom_site_fract_z
Mn1 0.227 0.250 0.125
P1 0.000 0.000 0.000
Pt1 0.000 0.000 0.500

---

No. 5
# PmScS2O PBE relaxed
# Energy relative to the elements, uncorrected = -2.42 eV per atom
# V = 197.60 Å³/cell
data_PmScS2O
_space_group_name_H-M_alt 'P 4/n m m'
*/
His campaign has been little different. Brown spent months assuring Bay Staters, he was one of us, a Red Sox loving, back-slapping, Audi-driving, truck-driving, regular dude that loved his wife and daughters, women all. That’s wonderful, as we have no doubt he loves his family, but what about others? Lately his campaign has relied heavily on slander, predicated on an appeal to our basest and worst instincts. His latest ads and his own words show disrespect toward Warren, but others too. Brown does not want a campaign of issues or ideas. Indeed, he has condemned talking about his record, as if his votes do not really matter. Why is he a senator then?
Exaggerations have been par for the course. And now he tells us Massachusetts should reelect him because he can talk to Speaker John Boehner and get things done. Specious reasoning at best, as Brown proved himself and the “R” next to his name to be utterly impotent as Boehner’s House refused to budge during the debt crisis. Why would they listen to him now?
Elizabeth Warren has weathered the charges that she is an elitist professor at that den of iniquity Harvard, an institution so reviled that it is enshrined in the commonwealth’s constitution. She has done so gracefully showing us the woman who rose from obscurity, through a public higher education system, to become a sought-after scholar and staunch advocate for the little guy (or gal).
Elizabeth Warren is more than just a bankruptcy and finance wonk. Far more. As one supporter said of the first time candidate, “she looks you in the eye and asks you for your vote” with sincerity and not a politician’s grin.
Her proposals to rebuild this country are exactly what the financially challenged gateway cities of the commonwealth need. These cities, like Springfield, need, as Warren has said, a “federal partner” to flourish again.
She supports families. Not “family” as some anachronistic perception, but as lives built together on love and shared aspirations. To her, it is not the government’s place to say who can constitute a family, but it should make sure each family has a fair shot.
Warren has also advocated for the right of women, not bosses or politicians, to make their own health care choices. Brown has offered only little more than platitudes and video of his wife and daughters as proof of his understanding of women’s issues.
Data records, as found in the file:
____________
# KFe2F, relaxed, DFT PBE with a Hubbard U
# - symmetry = No. 141
# - density of states at the Fermi level (states/eV/cell) = 4.1
# - final energy (eV per atom) = -3.475
# - crystal system = tetragonal
# - calculated density (kg/m³) = 2370
# - magnetization (μB/cell) = 16.36
# - energy relative to the lowest polymorph listed for this composition (kJ/mol of atoms) = 0.00
data_KFe2F
_chemical_formula_sum 'K2 Fe4 F2'
_space_group_name_H-M_alt 'P 1'
_space_group_IT_number 1
_space_group_name_Hall 'P 1'
_cell_length_a 8.1098
_cell_length_b 8.1098
_cell_length_c 8.1098
_cell_angle_alpha 137.81
_cell_angle_beta 137.81
_cell_angle_gamma 61.19
loop_
_atom_site_label
_atom_site_type_symbol
_atom_site_fract_x
_atom_site_fract_y
_atom_site_fract_z
K1 K 0.3750 0.6250 0.7500
K2 K 0.6250 0.3750 0.2500
Fe1 Fe 0.0000 0.0000 0.0000
Fe2 Fe 0.0000 0.0000 0.5000
Fe3 Fe 0.0000 0.5000 0.0000
Fe4 Fe 0.5000 0.0000 0.5000
F1 F 0.1250 0.8750 0.2500
F2 F 0.8750 0.1250 0.7500
____________
Like us, Warren supports the Affordable Care Act because she sees its need. Without it more lives and uninsured families will be ruined by a calamitous illness or accident, something years of her research has proved happens all too often, while taxpayers end up with the emergency room bill. Those same beliefs have also led her to stand up for the strength and survival of both Medicare and Medicaid.
Her stump speech features a rejection of the thinking that “I’ve got mine and the rest of you are on your own.” Scott Brown likes to say Warren is wealthy. She lives comfortably, but so does he and both claim humbler beginnings. However, quite unlike Brown, Warren has not forgotten where she came from. She wants the success she’s enjoyed for everyone and has the record to prove it. Brown only pays lip service to that goal.
Furthermore, on all of the above issues, she is prepared to work with anybody willing to help as Republican and former FDIC Chair Sheila Bair attested in endorsing Warren.
It is hard to imagine now, but after World War II, Massachusetts and its cities like Springfield were investing in its people, its roads, its schools. Today, it is an open question of whether or not we can even afford firefighters. Yet as one of our city’s voices in the world’s once-greatest deliberative body, Brown rejected funding for public safety in order to save hedge fund managers and corporate titans a few bucks a year. Meanwhile, as staffing goes down, insurance rates for homeowners go up. This is only one example of how Brown has not served Springfield’s interests, in particular.
Our country has not been served well by those that appeal to our hedonism, selfishness and prejudice. The time has come for someone who appeals to the “better angels of our nature.” Elizabeth Warren is who we need now. Not because she is perfect. We do not and we should not deify our officials. Rather we need her because in her we see the concern for and dedication to our fellow man and woman, a humanity we greatly need in our politics today.
We proudly endorse Elizabeth Warren for United States Senate this November.